"These startups are accelerating growth with big hiring plans in 2020"

“…Bay Area startups received almost half of the venture capital invested in 2019, some $46 billion flowing into the coffers of Bay Area companies…”
...More"Steel Modules Speed Construction"

A San Francisco developer imports Chinese steel modules to install 22 graduate student housing units in only four days.
"How the French are fixing a housing crisis comparable to California’s"

California has a housing crisis — that much we all know — but we should not grow paralyzed by the idea that it’s politically or substantively insurmountable. Paris has turned around a comparable situation with remarkable speed.
...More"Cities, cars, and climate change: 8 issues that will define the 2020s"

Cars, climate change, and cameras are just some of the tough issues city leaders need to grapple with in the coming decade
By their nature, cities are dynamic and ever-changing, shaking off the past and constantly reinventing themselves to face the future.
...More"Bernal Heights housing project approved after 41 years"

“Somebody crazy not giving up” finally wins new homes
Developer Patrick Quinlan is bringing new housing to Bernal Heights, and it only took four decades to get the job done.
"This decade, San Francisco saw the end of renting as we know it"

Rarely cheap or easy, the rental game went from an ordeal to a war zone this past decade
“…Median market rents—representing mostly newer homes that can charge double or nearly treble the census average these days—are where the real fireworks began: In 2010, a two-bedroom SF apartment on Craigslist averaged $2,893 (per historic data compiled in 2016 by Eric Fischer), or $3,396 after inflation. At the end of 2019, similar units on the same site sit at a median of $4,300, up 26.6 percent.”
...More"SF is the most expensive place in the world to build"

San Francisco edged out New York City in 2019 for a queasy honorarium
San Francisco might be the most expensive place in the entire world to build new housing—intimidating news for anyone holding out for the possibility of increased supply to relieve the housing crisis.
...More"SF is one of the most expensive places in the world to build housing. Here’s why"

Materials data, as found in the file:
Structure and theoretical X-ray diffraction stick pattern of Nd6CoRu2Br3 (DFT lattice parameters and positions (PBE); Cu Kα (λ = 1.5418 Å)).
Lines closer than 0.1° are merged.

Largest 10 diffraction maxima, by angle, 5° ≤ 2θ ≤ 70°:
- d 7.892, 2θ 11.21, intensity 18
- d 3.360, 2θ 26.53, intensity 8
- d 3.015, 2θ 29.63, intensity 100
- d 2.817, 2θ 31.77, intensity 9
- d 2.433, 2θ 36.94, intensity 13
- d 2.261, 2θ 39.87, intensity 29
- d 2.023, 2θ 44.80, intensity 36
- d 1.834, 2θ 49.72, intensity 10
- d 1.680, 2θ 54.63, intensity 18
- d 1.604, 2θ 57.47, intensity 9

Structural model:
```
Nd6CoRu2Br3
1.0
3.506 -6.066 0.000
3.506 6.066 0.000
-2.336 0.000 7.892
Nd Co Ru Br
6 1 2 3
Direct
0.065 0.394 0.196
0.262 0.262 0.803
0.394 0.065 0.196
0.606 0.935 0.804
0.738 0.738 0.197
0.935 0.606 0.804
0.000 0.000 0.000
0.334 0.666 0.000
0.666 0.334 0.000
0.168 0.832 0.500
0.500 0.500 0.500
0.832 0.168 0.500
```

* * * * *

# 1
Simulated X-ray powder pattern of Nd2Np3N8 for Cu Kα X-rays, from DFT lattice parameters and positions (GGA-PBE).
Peak positions follow from Bragg's law for the DFT cell and can differ from measured ones.

Crystal structure
```
data_Nd2Np3N8
_chemical_formula_sum 'Nd4 Np6 N16'
_cell_length_a 6.9233
_cell_length_b 6.9233
_cell_length_c 10.3620
_cell_angle_alpha 90.00
_cell_angle_beta 90.00
_cell_angle_gamma 120.00
_symmetry_space_group_name_H-M 'P 63 m c'
_symmetry_Int_Tables_number 186
_symmetry_space_group_name_Hall 'P 6c -2c'
loop_
_atom_site_label
_atom_site_type_symbol
_atom_site_fract_x
_atom_site_fract_y
_atom_site_fract_z
Nd1 Nd 0.3333 0.6667 0.0000
Nd2 Nd 0.3333 0.6667 0.3515
Np1 Np 0.1659 0.3318 0.7098
N1 N 0.0000 0.0000 0.2992
N2 N 0.0585 0.5292 0.8201
N3 N 0.1613 0.3226 0.1309
N4 N 0.3333 0.6667 0.6037
```

Main lines, most intense first (2θ = 10–90°):
2theta	Rel. int.	index
31.1	100	2 0 1
29.8	51	2 0 0
17.1	46	0 0 2
52.9	21	2 2 0
53.8	21	2 0 5
48.0	19	2 1 3
39.8	17	2 0 3
34.6	16	0 0 4
22.7	16	1 0 2
56.0	11	2 2 2

# 2
Simulated X-ray powder pattern of LiNd3Se4 for Cu Kα X-rays, from DFT lattice parameters and positions (GGA-PBE).
Peak positions follow from Bragg's law for the DFT cell and can differ from measured ones.

Crystal structure
```
data_LiNd3Se4
_chemical_formula_sum 'Li1 Nd3 Se4'
_cell_length_a 5.936
_cell_length_b 5.936
_cell_length_c 5.936
_cell_angle_alpha 90.00
_cell_angle_beta 90.00
_cell_angle_gamma 90.00
_symmetry_space_group_name_H-M 'P m -3 m'
_symmetry_Int_Tables_number 221
_symmetry_space_group_name_Hall '-P 4 2 3'
loop_
_atom_site_label
_atom_site_type_symbol
_atom_site_fract_x
_atom_site_fract_y
_atom_site_fract_z
Li1 Li 0.000 0.000 0.000
Nd1 Nd 0.000 0.500 0.500
Se1 Se 0.000 0.000 0.500
Se2 Se 0.500 0.500 0.500
```

Main lines, most intense first (2θ = 10–90°):
2theta	Rel. int.	index
30.1	100	2 0 0
43.1	74	2 2 0
71.0	33	4 2 0
53.5	26	2 2 2
79.0	25	4 2 2
14.9	18	1 0 0
21.2	16	1 1 0
62.6	12	4 0 0
33.8	10	2 1 0
37.1	8	2 1 1

# 3

Adrian Caratowsa was lucky.
After six years of trying and failing to score an affordable apartment in San Francisco, he won the lottery for a city-subsidized apartment in the Transbay district.
...More"Why downtown Oakland is booming"

“…For the first time in more than a decade, Oakland’s skyline has a new office tower — and many more to come.”
“…A wave of migration from San Francisco, along with local business growth, has made Oakland one of the hottest local economies in the country. Additional office projects totaling more than 4 million square feet, or room for 20,000 more employees, are under construction or planned downtown, which currently has around 80,000 jobs…”
...More"Vancouver approves new rental housing policy"

New rental housing measures were approved by Vancouver City Council this week. I haven’t gone through the policies in the detail (you can do that here), but they aim to increase rental housing supply by doing things such as “pre-zoning” for 6-storeys on main streets and by allowing rental apartments to be built on some side streets (up to 150m away from arterial roads).